Now write out all of the data below word for word.

********
The following is a DFT calculation (PBE) of LiBeCd after structural relaxation.

```
3
Lattice="-1.269 3.492 -1.924 -3.254 -0.124 -2.626 -3.628 1.782 1.079" Properties=species:S:1:pos:R:3 pbc="T T T"
Be -6.114 3.863 -2.603
Cd 0.000 0.000 0.000
Li -4.076 2.575 -1.735
```

**E above lowest polymorph**: 184 meV per atom
**DOS at the Fermi energy**: 2.3 states/eV/f.u.
**ΔH_f (0 K)**: 1.0 eV per formula unit
**Uncorrected energy**: -1.85 eV/atom
**Theoretical density**: 4.12 g/cm³

=====

The following is a DFT calculation (PBE) of Li2BeCd after structural relaxation.

```
4
Lattice="3.080 0.000 0.000 0.000 3.080 0.000 0.000 0.000 6.481" Properties=species:S:1:pos:R:3 pbc="T T T"
Be 0.000 0.000 3.171
Cd 1.540 1.540 4.683
Li 0.000 0.000 0.050
Li 1.540 1.540 1.818
```

**E above lowest polymorph**: 72 meV per atom
**DOS at the Fermi energy**: 1.1 states/eV/f.u.
**ΔH_f (0 K)**: 0.4 eV per formula unit
**Uncorrected energy**: -2.02 eV/atom
**Theoretical density**: 3.65 g/cm³

=====

The following is a DFT calculation (PBE) of Li2BeCd after structural relaxation.

```
4
Lattice="-2.085 -3.056 2.498 2.187 -1.695 -0.248 2.718 1.358 3.929" Properties=species:S:1:pos:R:3 pbc="T T T"
Be 0.184 -1.612 2.169
Cd 2.636 -1.781 4.010
Li 0.102 -0.022 0.059
Li 2.350 -0.147 1.782
```

**E above lowest polymorph**: 97 meV per atom
**DOS at the Fermi energy**: 1.1 states/eV/f.u.
**ΔH_f (0 K)**: 0.5 eV per formula unit
**Uncorrected energy**: -2.00 eV/atom
**Theoretical density**: 3.72 g/cm³

=====

no.,calculated volume (Å³ per cell)
1,51.78
2,61.50
3,60.42


Entry 1:
Compound: Tl6Cd
Source: the Alexandria database
Functional: PBE
Structure: optimized geometry

For the energy relative to the lowest polymorph listed for this composition, the calculation gives 54 meV/atom. As for the energy of formation from the pure elements: 0.077 eV/atom.

The structure belongs to space group P4/mmm (No. 123); the cell edges are 4.825, 4.825 and 9.532 Å and the angles 90.00°, 90.00° and 90.00°. The inequivalent atoms are Tl at (0.000, 0.000, 0.000), Tl at (0.000, 0.500, 0.246), Tl at (0.500, 0.500, 0.500) and Cd at (0.000, 0.000, 0.500).

Entry 2:
Compound: Tl5Cd3
Source: the Alexandria database
Functional: PBE
Structure: optimized geometry

For the energy relative to the lowest polymorph listed for this composition, the calculation gives 14 meV/atom. As for the energy of formation from the pure elements: 0.058 eV/atom.

The structure belongs to space group Cmcm (No. 63); the cell edges are 16.037, 9.250 and 6.243 Å and the angles 90.00°, 90.00° and 90.00°. The inequivalent atoms are Tl at (0.000, 0.229, 0.250), Tl at (0.115, 0.115, 0.750), Tl at (0.167, 0.500, 0.000), Cd at (0.000, 0.405, 0.750) and Cd at (0.203, 0.203, 0.250).

Entry 3:
Compound: TlCd
Source: the Alexandria database
Functional: PBE
Structure: optimized geometry

As for the energy of formation from the pure elements: 0.063 eV/atom.

The structure belongs to space group I4_1/amd (No. 141, origin choice 2); the cell edges are 4.767, 4.767 and 9.636 Å and the angles 90.00°, 90.00° and 90.00°. The inequivalent atoms are Tl at (0.000, 0.250, 0.375) and Cd at (0.000, 0.250, 0.875).

Entry 4:
Compound: Tl4Cd
Source: the Alexandria database
Functional: PBE
Structure: optimized geometry

For the energy relative to the lowest polymorph listed for this composition, the calculation gives 246 meV/atom. As for the energy of formation from the pure elements: 0.267 eV/atom.

The structure belongs to space group Pm-3m (No. 221); the cell edges are 5.688, 5.688 and 5.688 Å and the angles 90.00°, 90.00° and 90.00°. The inequivalent atoms are Tl at (0.000, 0.000, 0.000), Tl at (0.000, 0.500, 0.500) and Cd at (0.500, 0.500, 0.500).

Entry 5:
Compound: TlCd
Source: the Alexandria database
Functional: PBE
Structure: optimized geometry

As for the energy of formation from the pure elements: 0.066 eV/atom.
********

The following is a DFT calculation (PBE) of LiBeCd after structural relaxation.

```
3
Lattice="-1.269 3.492 -1.924 -3.254 -0.124 -2.626 -3.628 1.782 1.079" Properties=species:S:1:pos:R:3 pbc="T T T"
Be -6.114 3.863 -2.603
Cd 0.000 0.000 0.000
Li -4.076 2.575 -1.735
```

**E above lowest polymorph**: 184 meV per atom
**DOS at the Fermi energy**: 2.3 states/eV/f.u.
**ΔH_f (0 K)**: 1.0 eV per formula unit
**Uncorrected energy**: -1.85 eV/atom
**Theoretical density**: 4.12 g/cm³

=====

The following is a DFT calculation (PBE) of Li2BeCd after structural relaxation.

```
4
Lattice="3.080 0.000 0.000 0.000 3.080 0.000 0.000 0.000 6.481" Properties=species:S:1:pos:R:3 pbc="T T T"
Be 0.000 0.000 3.171
Cd 1.540 1.540 4.683
Li 0.000 0.000 0.050
Li 1.540 1.540 1.818
```

**E above lowest polymorph**: 72 meV per atom
**DOS at the Fermi energy**: 1.1 states/eV/f.u.
**ΔH_f (0 K)**: 0.4 eV per formula unit
**Uncorrected energy**: -2.02 eV/atom
**Theoretical density**: 3.65 g/cm³

=====

The following is a DFT calculation (PBE) of Li2BeCd after structural relaxation.

```
4
Lattice="-2.085 -3.056 2.498 2.187 -1.695 -0.248 2.718 1.358 3.929" Properties=species:S:1:pos:R:3 pbc="T T T"
Be 0.184 -1.612 2.169
Cd 2.636 -1.781 4.010
Li 0.102 -0.022 0.059
Li 2.350 -0.147 1.782
```

**E above lowest polymorph**: 97 meV per atom
**DOS at the Fermi energy**: 1.1 states/eV/f.u.
**ΔH_f (0 K)**: 0.5 eV per formula unit
**Uncorrected energy**: -2.00 eV/atom
**Theoretical density**: 3.72 g/cm³

=====

no.,calculated volume (Å³ per cell)
1,51.78
2,61.50
3,60.42


Entry 1:
Compound: Tl6Cd
Source: the Alexandria database
Functional: PBE
Structure: optimized geometry

For the energy relative to the lowest polymorph listed for this composition, the calculation gives 54 meV/atom. As for the energy of formation from the pure elements: 0.077 eV/atom.

The structure belongs to space group P4/mmm (No. 123); the cell edges are 4.825, 4.825 and 9.532 Å and the angles 90.00°, 90.00° and 90.00°. The inequivalent atoms are Tl at (0.000, 0.000, 0.000), Tl at (0.000, 0.500, 0.246), Tl at (0.500, 0.500, 0.500) and Cd at (0.000, 0.000, 0.500).

Entry 2:
Compound: Tl5Cd3
Source: the Alexandria database
Functional: PBE
Structure: optimized geometry

For the energy relative to the lowest polymorph listed for this composition, the calculation gives 14 meV/atom. As for the energy of formation from the pure elements: 0.058 eV/atom.

The structure belongs to space group Cmcm (No. 63); the cell edges are 16.037, 9.250 and 6.243 Å and the angles 90.00°, 90.00° and 90.00°. The inequivalent atoms are Tl at (0.000, 0.229, 0.250), Tl at (0.115, 0.115, 0.750), Tl at (0.167, 0.500, 0.000), Cd at (0.000, 0.405, 0.750) and Cd at (0.203, 0.203, 0.250).

Entry 3:
Compound: TlCd
Source: the Alexandria database
Functional: PBE
Structure: optimized geometry

As for the energy of formation from the pure elements: 0.063 eV/atom.

The structure belongs to space group I4_1/amd (No. 141, origin choice 2); the cell edges are 4.767, 4.767 and 9.636 Å and the angles 90.00°, 90.00° and 90.00°. The inequivalent atoms are Tl at (0.000, 0.250, 0.375) and Cd at (0.000, 0.250, 0.875).

Entry 4:
Compound: Tl4Cd
Source: the Alexandria database
Functional: PBE
Structure: optimized geometry

For the energy relative to the lowest polymorph listed for this composition, the calculation gives 246 meV/atom. As for the energy of formation from the pure elements: 0.267 eV/atom.

The structure belongs to space group Pm-3m (No. 221); the cell edges are 5.688, 5.688 and 5.688 Å and the angles 90.00°, 90.00° and 90.00°. The inequivalent atoms are Tl at (0.000, 0.000, 0.000), Tl at (0.000, 0.500, 0.500) and Cd at (0.500, 0.500, 0.500).

Entry 5:
Compound: TlCd
Source: the Alexandria database
Functional: PBE
Structure: optimized geometry

As for the energy of formation from the pure elements: 0.066 eV/atom.